It remains to search the material further down for the word "DFT" and repeat each line that has it.

┌──
FeHgHF6: optimized geometry, PBE+U.

```
FeHgHF6
1.0
4.8172 0.0000 0.0000
-0.0374 5.1227 0.0000
-2.0064 -0.1577 4.8312
Fe Hg H F
1 1 1 6
Direct
0.0000 0.0000 0.0000 Fe
0.6695 0.5330 0.3614 Hg
0.4594 0.2376 0.8153 H
0.0078 0.8081 0.6877 F
0.2908 0.8078 0.2865 F
0.2981 0.2577 0.9420 F
0.6395 0.2304 0.7286 F
0.6786 0.7847 0.9989 F
0.9839 0.2517 0.2819 F
```

Summary:
**SG**: P1 (1)
**VASP energy**: -4.16 eV/atom
**ρ**: 5.173 g/cm3

=====

# Pr4GaNi, relaxed, DFT PBE
# Spin magnetization   0.0 Bohr magnetons per cell
# D(E_F)   1.17 states/eV per atom
# Formation energy   -0.239 eV/atom
# VASP energy   -4.89 eV/atom
data_Pr4GaNi
_space_group_name_H-M_alt 'P 1 21/m 1'
_space_group_IT_number 11
_space_group_name_Hall '-P 2yb'
_cell_length_a 6.3398
_cell_length_b 7.0363
_cell_length_c 8.3334
_cell_angle_alpha 90.00
_cell_angle_beta 109.59
_cell_angle_gamma 90.00
loop_
_atom_site_label
_atom_site_type_symbol
_atom_site_fract_x
_atom_site_fract_y
_atom_site_fract_z
Pr1 Pr 0.0142 0.0023 0.2294
Pr2 Pr 0.4151 0.2500 0.6236
Pr3 Pr 0.4354 0.2500 0.0871
Ga1 Ga 0.2156 0.7500 0.5553
Ni1 Ni 0.2237 0.7500 0.0560



# Pr3Ga8Ni3, relaxed, DFT PBE
# Spin magnetization   0.0 Bohr magnetons per cell
# D(E_F)   0.48 states/eV per atom
# Formation energy   -0.532 eV/atom
# VASP energy   -4.53 eV/atom
data_Pr3Ga8Ni3
_space_group_name_H-M_alt 'C 1 2/m 1'
_space_group_IT_number 12
_space_group_name_Hall '-C 2y'
_cell_length_a 15.8871
_cell_length_b 4.4373
_cell_length_c 8.6938
_cell_angle_alpha 90.00
_cell_angle_beta 121.98
_cell_angle_gamma 90.00
loop_
_atom_site_label
_atom_site_type_symbol
_atom_site_fract_x
_atom_site_fract_y
_atom_site_fract_z
Pr1 Pr 0.0000 0.0000 0.0000
Pr2 Pr 0.2124 0.5000 0.6958
Ga1 Ga 0.0121 0.5000 0.6842
Ga2 Ga 0.1297 0.0000 0.4228
Ga3 Ga 0.1462 0.5000 0.2664
Ga4 Ga 0.1554 0.0000 0.8749
Ni1 Ni 0.0000 0.0000 0.5000
Ni2 Ni 0.1557 0.5000 0.9987



Which of these has the lowest formation energy?
Pr3Ga8Ni3



Which value of spin magnetization does entry 2 give?
0.0 Bohr magnetons per cell



Among the records above, which one has the lowest D(E_F)?
Pr3Ga8Ni3

=====

[1]
# SrAc2TmTe5, optimized geometry, DFT PBE
# D(E_F): 0.52 states/eV/atom
# M_tot: 0.00 μB per formula unit
data_SrAc2TmTe5
_chemical_formula_sum 'Sr1 Ac2 Tm1 Te5'
_cell_length_a 5.483
_cell_length_b 5.483
_cell_length_c 12.009
_cell_angle_alpha 90.00
_cell_angle_beta 90.00
_cell_angle_gamma 90.00
_symmetry_space_group_name_H-M 'P 4/m m m'
_symmetry_Int_Tables_number 123
_symmetry_space_group_name_Hall '-P 4 2'
loop_
_atom_site_label
_atom_site_type_symbol
_atom_site_fract_x
_atom_site_fract_y
_atom_site_fract_z
Sr1 Sr 0.000 0.000 0.000
Ac1 Ac 0.500 0.500 0.300
Tm1 Tm 0.000 0.000 0.500
Te1 Te 0.000 0.000 0.254
Te2 Te 0.000 0.500 0.500
Te3 Te 0.500 0.500 0.000


[2]
# Sr3AcY2Te6, optimized geometry, DFT PBE
# D(E_F): 0.44 states/eV/atom
# M_tot: 0.00 μB per formula unit
data_Sr3AcY2Te6
_chemical_formula_sum 'Sr6 Ac2 Y4 Te12'
_cell_length_a 7.924
_cell_length_b 13.713
_cell_length_c 8.071
_cell_angle_alpha 90.00
_cell_angle_beta 109.20
_cell_angle_gamma 90.00
_symmetry_space_group_name_H-M 'C 1 2/m 1'
_symmetry_Int_Tables_number 12
loop_
_symmetry_equiv_pos_as_xyz
'x,y,z'
'-x,-y,-z'
'-x,y,-z'
'x,-y,z'
'x+1/2,y+1/2,z'
'-x+1/2,-y+1/2,-z'
'-x+1/2,y+1/2,-z'
'x+1/2,-y+1/2,z'
loop_
_atom_site_label
_atom_site_type_symbol
_atom_site_fract_x
_atom_site_fract_y
_atom_site_fract_z
Sr1 Sr 0.000 0.000 0.000
Sr2 Sr 0.000 0.339 0.000
Ac1 Ac 0.000 0.500 0.500
Y1 Y 0.000 0.168 0.500
Te1 Te 0.229 0.000 0.735
Te2 Te 0.245 0.174 0.260


[3]
# Sr3Ac2YTe6, optimized geometry, DFT PBE
# D(E_F): 0.44 states/eV/atom
# M_tot: 0.00 μB per formula unit
data_Sr3Ac2YTe6
_chemical_formula_sum 'Sr6 Ac4 Y2 Te12'
_cell_length_a 20.445
_cell_length_b 4.634
_cell_length_c 9.416
_cell_angle_alpha 90.00
_cell_angle_beta 104.39
_cell_angle_gamma 90.00
_symmetry_space_group_name_H-M 'C 1 2/m 1'
_symmetry_Int_Tables_number 12
loop_
_symmetry_equiv_pos_as_xyz
'x,y,z'
'-x,-y,-z'
'-x,y,-z'
'x,-y,z'
└──

# Pr4GaNi, relaxed, DFT PBE
# Pr3Ga8Ni3, relaxed, DFT PBE
# SrAc2TmTe5, optimized geometry, DFT PBE
# Sr3AcY2Te6, optimized geometry, DFT PBE
# Sr3Ac2YTe6, optimized geometry, DFT PBE